_Brief_
Set down the lines below from the line with "0.0000 0.6581" to the end with every line break kept.

_Listing_
********
Compound: Ba3MgRu2O9
Source: Materials Project
Functional: PBE
Structure: relaxed

* ΔH_f (0 K): -2431 meV/atom
* symmetry: No. 194

Structure (POSCAR):
```
Ba3MgRu2O9
1.0
5.8560 0.0000 0.0000
-2.9280 5.0714 0.0000
0.0000 0.0000 14.1238
Ba Mg Ru O
6 2 4 18
direct
0.0000 0.0000 0.2500
0.0000 0.0000 0.7500
0.3333 0.6667 0.0886
0.3333 0.6667 0.4114
0.6667 0.3333 0.5886
0.6667 0.3333 0.9114
0.0000 0.0000 0.0000
0.0000 0.0000 0.5000
0.3333 0.6667 0.6608
0.3333 0.6667 0.8392
0.6667 0.3333 0.1608
0.6667 0.3333 0.3392
0.0154 0.5077 0.7500
0.1729 0.3458 0.5852
0.1729 0.3458 0.9148
0.1729 0.8271 0.5852
0.1729 0.8271 0.9148
0.3458 0.1729 0.0852
0.3458 0.1729 0.4148
0.4923 0.5077 0.7500
0.4923 0.9846 0.7500
0.5077 0.0154 0.2500
0.5077 0.4923 0.2500
0.6542 0.8271 0.5852
0.6542 0.8271 0.9148
0.8271 0.1729 0.0852
0.8271 0.1729 0.4148
0.8271 0.6542 0.0852
0.8271 0.6542 0.4148
0.9846 0.4923 0.2500
```

---

Compound: MoC
Source: Materials Project
Functional: PBE
Structure: relaxed

* ΔH_f (0 K): 171 meV/atom
* energy relative to the lowest polymorph listed for this composition: 253.5 meV/atom
* symmetry: No. 194

Structure (POSCAR):
```
MoC
1.0
3.0736 0.0000 0.0000
-1.5368 2.6618 0.0000
0.0000 0.0000 15.4204
Mo C
6 6
direct
0.0000 0.0000 0.2500
0.0000 0.0000 0.7500
0.3333 0.6667 0.0762
0.3333 0.6667 0.4238
0.6667 0.3333 0.5762
0.6667 0.3333 0.9238
0.0000 0.0000 0.0000
0.0000 0.0000 0.5000
0.3333 0.6667 0.6665
0.3333 0.6667 0.8335
0.6667 0.3333 0.1665
0.6667 0.3333 0.3335
```

---

Compound: K3NaHf2Si3O12
Source: Materials Project
Functional: PBE
Structure: relaxed

* ΔH_f (0 K): -3184 meV/atom

Structure (POSCAR):
```
K3NaHf2Si3O12
1.0
-8.2655 -4.0719 -1.9319
7.9724 -3.6982 -3.3757
1.9372 -12.7080 18.4972
K Na Hf Si O
18 6 12 18 72
direct
0.6581 0.0000 0.2500
0.3419 0.3419 0.2500
0.0000 0.6581 0.2500
0.6581 0.6581 0.7500
0.0000 0.3419 0.7500
0.3419 0.0000 0.7500
0.3248 0.3333 0.5833
0.0085 0.6752 0.5833
0.6667 0.9915 0.5833
0.3248 0.9915 0.0833
0.6667 0.6752 0.0833
0.0085 0.3333 0.0833
0.9915 0.6667 0.9167
0.6752 0.0085 0.9167
0.3333 0.3248 0.9167
0.9915 0.3248 0.4167
0.3333 0.0085 0.4167
0.6752 0.6667 0.4167
0.0000 0.0000 0.5000
0.0000 0.0000 0.0000
0.6667 0.3333 0.8333
0.6667 0.3333 0.3333
0.3333 0.6667 0.1667
0.3333 0.6667 0.6667
0.0000 0.0000 0.3518
0.0000 0.0000 0.8518
0.0000 0.0000 0.6482
0.0000 0.0000 0.1482
0.6667 0.3333 0.6851
0.6667 0.3333 0.1851
0.6667 0.3333 0.9816
0.6667 0.3333 0.4816
0.3333 0.6667 0.0184
0.3333 0.6667 0.5184
0.3333 0.6667 0.3149
0.3333 0.6667 0.8149
0.2985 0.0000 0.2500
0.7015 0.7015 0.2500
0.0000 0.2985 0.2500
0.2985 0.2985 0.7500
0.0000 0.7015 0.7500
0.7015 0.0000 0.7500
0.9652 0.3333 0.5833
0.3682 0.0348 0.5833
0.6667 0.6318 0.5833
0.9652 0.6318 0.0833
0.6667 0.0348 0.0833
0.3682 0.3333 0.0833
0.6318 0.6667 0.9167
0.0348 0.3682 0.9167
0.3333 0.9652 0.9167
0.6318 0.9652 0.4167
0.3333 0.3682 0.4167
0.0348 0.6667 0.4167
0.1999 0.0205 0.3069
0.8205 0.8001 0.3069
0.9795 0.1795 0.3069
0.1999 0.1795 0.8069
0.9795 0.8001 0.8069
0.8205 0.0205 0.8069
0.8001 0.9795 0.6931
0.1795 0.1999 0.6931
0.0205 0.8205 0.6931
0.8001 0.8205 0.1931
0.0205 0.1999 0.1931
0.1795 0.9795 0.1931
0.8666 0.3538 0.6403
0.4872 0.1334 0.6403
0.6462 0.5128 0.6403
0.8666 0.5128 0.1403
0.6462 0.1334 0.1403
0.4872 0.3538 0.1403
0.4667 0.3129 0.0264
0.8461 0.5333 0.0264
0.6871 0.1539 0.0264
0.4667 0.1539 0.5264
0.6871 0.5333 0.5264
0.8461 0.3129 0.5264
0.5333 0.6871 0.9736
0.1539 0.4667 0.9736
0.3129 0.8461 0.9736
0.5333 0.8461 0.4736
0.3129 0.4667 0.4736
0.1539 0.6871 0.4736
0.1334 0.6462 0.3597
0.5128 0.8666 0.3597
0.3538 0.4872 0.3597
0.1334 0.4872 0.8597
0.3538 0.8666 0.8597
0.5128 0.6462 0.8597
0.0133 0.8296 0.4112
0.8163 0.9867 0.4112
0.1704 0.1837 0.4112
0.0133 0.1837 0.9112
0.1704 0.9867 0.9112
0.8163 0.8296 0.9112
0.9867 0.1704 0.5888
0.1837 0.0133 0.5888
0.8296 0.8163 0.5888
0.9867 0.8163 0.0888
0.8296 0.0133 0.0888
0.1837 0.1704 0.0888
0.6799 0.1629 0.7445
0.4830 0.3201 0.7445
0.8371 0.5170 0.7445
0.6799 0.5170 0.2445
0.8371 0.3201 0.2445
********

_Written answer_
0.0000 0.6581 0.2500
0.6581 0.6581 0.7500
0.0000 0.3419 0.7500
0.3419 0.0000 0.7500
0.3248 0.3333 0.5833
0.0085 0.6752 0.5833
0.6667 0.9915 0.5833
0.3248 0.9915 0.0833
0.6667 0.6752 0.0833
0.0085 0.3333 0.0833
0.9915 0.6667 0.9167
0.6752 0.0085 0.9167
0.3333 0.3248 0.9167
0.9915 0.3248 0.4167
0.3333 0.0085 0.4167
0.6752 0.6667 0.4167
0.0000 0.0000 0.5000
0.0000 0.0000 0.0000
0.6667 0.3333 0.8333
0.6667 0.3333 0.3333
0.3333 0.6667 0.1667
0.3333 0.6667 0.6667
0.0000 0.0000 0.3518
0.0000 0.0000 0.8518
0.0000 0.0000 0.6482
0.0000 0.0000 0.1482
0.6667 0.3333 0.6851
0.6667 0.3333 0.1851
0.6667 0.3333 0.9816
0.6667 0.3333 0.4816
0.3333 0.6667 0.0184
0.3333 0.6667 0.5184
0.3333 0.6667 0.3149
0.3333 0.6667 0.8149
0.2985 0.0000 0.2500
0.7015 0.7015 0.2500
0.0000 0.2985 0.2500
0.2985 0.2985 0.7500
0.0000 0.7015 0.7500
0.7015 0.0000 0.7500
0.9652 0.3333 0.5833
0.3682 0.0348 0.5833
0.6667 0.6318 0.5833
0.9652 0.6318 0.0833
0.6667 0.0348 0.0833
0.3682 0.3333 0.0833
0.6318 0.6667 0.9167
0.0348 0.3682 0.9167
0.3333 0.9652 0.9167
0.6318 0.9652 0.4167
0.3333 0.3682 0.4167
0.0348 0.6667 0.4167
0.1999 0.0205 0.3069
0.8205 0.8001 0.3069
0.9795 0.1795 0.3069
0.1999 0.1795 0.8069
0.9795 0.8001 0.8069
0.8205 0.0205 0.8069
0.8001 0.9795 0.6931
0.1795 0.1999 0.6931
0.0205 0.8205 0.6931
0.8001 0.8205 0.1931
0.0205 0.1999 0.1931
0.1795 0.9795 0.1931
0.8666 0.3538 0.6403
0.4872 0.1334 0.6403
0.6462 0.5128 0.6403
0.8666 0.5128 0.1403
0.6462 0.1334 0.1403
0.4872 0.3538 0.1403
0.4667 0.3129 0.0264
0.8461 0.5333 0.0264
0.6871 0.1539 0.0264
0.4667 0.1539 0.5264
0.6871 0.5333 0.5264
0.8461 0.3129 0.5264
0.5333 0.6871 0.9736
0.1539 0.4667 0.9736
0.3129 0.8461 0.9736
0.5333 0.8461 0.4736
0.3129 0.4667 0.4736
0.1539 0.6871 0.4736
0.1334 0.6462 0.3597
0.5128 0.8666 0.3597
0.3538 0.4872 0.3597
0.1334 0.4872 0.8597
0.3538 0.8666 0.8597
0.5128 0.6462 0.8597
0.0133 0.8296 0.4112
0.8163 0.9867 0.4112
0.1704 0.1837 0.4112
0.0133 0.1837 0.9112
0.1704 0.9867 0.9112
0.8163 0.8296 0.9112
0.9867 0.1704 0.5888
0.1837 0.0133 0.5888
0.8296 0.8163 0.5888
0.9867 0.8163 0.0888
0.8296 0.0133 0.0888
0.1837 0.1704 0.0888
0.6799 0.1629 0.7445
0.4830 0.3201 0.7445
0.8371 0.5170 0.7445
0.6799 0.5170 0.2445
0.8371 0.3201 0.2445